Friday, September 16, 2011

"Johnny Appleseed" - Joe Strummer & the Mescaleros

Transmission of ideas has always been something that's interested me. As a history major, I'm attuned to how the spread of concepts, the course, speed and mechanism of their journey alter both global and personal history. Writing about music also brings up this idea, because, it is by its very nature at attempt to spread both musical content and analysis. You do it because you're passionate enough about something that you feel compelled to share your opinions and passions (and also self-important enough to think they might appeal to anyone).

[Inserted here: calculated crystals]
/*
CeThZnIn after structural relaxation, computed with PBE-GGA.

Unit cell a=3.376 b=3.376 c=9.013 alpha=90.00 beta=90.00 gamma=90.00
Atoms (fractional coordinates):
Ce 0.000 0.000 0.000
Th 0.000 0.000 0.464
Zn 0.500 0.500 0.229
In 0.500 0.500 0.736

Summary:
ΔE to the lowest computed polymorph: 0.000 eV/atom
Uncorrected energy: -4.58 eV/atom
Energy relative to the elements: -240 meV per atom


(1)
Here is an optimized crystal structure of BaNa2Ag from Alexandria. Energies are from GGA-PBE.

a = 5.334 Å, b = 5.334 Å, c = 6.607 Å
α = 66.19°, β = 66.19°, γ = 60.00°
Element x y z (fractional)
Na  0.014  0.014  0.957
Na  0.286  0.286  0.143
Ba  0.494  0.494  0.519
Ag  0.706  0.706  0.881

Output
ρ: 3.36 g/cm3
E_form: -0.0492 eV/atom
Distance to the lowest polymorph of the same formula: 0.18 eV/f.u.
DFT total energy: -7.6 eV/f.u.
Space group: R3m (160)

***

(2)
Here is an optimized crystal structure of BaNa3Ag8 from Alexandria. Energies are from GGA-PBE.

a = 5.757 Å, b = 5.757 Å, c = 10.149 Å
α = 73.52°, β = 73.52°, γ = 60.00°
Element x y z (fractional)
Ag  0.937  0.937  0.693
Ag  0.187  0.187  0.439
Ag  0.441  0.441  0.176
Ag  0.942  0.441  0.176
Ag  0.688  0.688  0.935
Ag  0.937  0.434  0.693
Ag  0.441  0.942  0.176
Ag  0.434  0.937  0.693
Ba  0.876  0.876  0.372
Na  0.005  0.005  0.984
Na  0.373  0.373  0.881
Na  0.489  0.489  0.532

Output
ρ: 6.45 g/cm3
E_form: -0.1087 eV/atom
DFT total energy: -30.0 eV/f.u.
Space group: R3m (160)

***

(3)
Here is an optimized crystal structure of Ba2NaAg from Alexandria. Energies are from GGA-PBE.

a = 4.635 Å, b = 8.529 Å, c = 9.396 Å
α = 93.51°, β = 90.00°, γ = 105.77°
Element x y z (fractional)
Na  0.624  0.249  0.959
Na  0.376  0.751  0.041
Ba  0.969  0.938  0.716
Ba  0.232  0.464  0.685
Ba  0.768  0.536  0.315
Ba  0.031  0.062  0.284
Ag  0.407  0.814  0.452
Ag  0.593  0.186  0.548

Output
ρ: 3.78 g/cm3
E_form: -0.1283 eV/atom
Distance to the lowest polymorph of the same formula: 0.01 eV/f.u.
DFT total energy: -8.5 eV/f.u.
Space group: C2/m (12)

***

(4)
Here is an optimized crystal structure of Ba6NaAg2 from Alexandria. Energies are from GGA-PBE.

a = 10.433 Å, b = 10.433 Å, c = 10.433 Å
α = 104.79°, β = 109.87°, γ = 113.89°
Element x y z (fractional)
Ba  0.204  0.237  0.441
Ba  0.691  0.364  0.673
Ba  0.796  0.763  0.559
Ba  0.309  0.983  0.673
Ba  0.204  0.763  0.966
Ba  0.309  0.636  0.327
Ba  0.531  0.712  0.819
Ba  0.796  0.237  0.034
Ba  0.107  0.288  0.819
Ba  0.469  0.288  0.181
Ba  0.691  0.017  0.327
Ba  0.893  0.712  0.181
Na  0.000  0.000  0.000
Na  0.000  0.500  0.500
Ag  0.343  0.000  0.343
Ag  0.657  0.000  0.657
Ag  0.500  0.617  0.117
Ag  0.500  0.383  0.883

Output
ρ: 4.06 g/cm3
E_form: -0.1243 eV/atom
DFT total energy: -19.7 eV/f.u.
Space group: Immm (71)

***

(5)
Here is an optimized crystal structure of BaNaAg2 from Alexandria. Energies are from GGA-PBE.

a = 5.583 Å, b = 5.583 Å, c = 5.583 Å
α = 60.00°, β = 60.00°, γ = 60.00°
Element x y z (fractional)
Ba  0.500  0.500  0.500
*/

You Ain't No Picasso recently posted an impressive collection of Ted Leo's covers from over the years which, in turn got me thinking about how we come across new music. I've probably discovered more new artists through Ted Leo than any other musician (whether it's due to his taste or prodigious capacity for reinterpretation I leave up to you). The one that stood out in my mind was a song that always reminds me of the beginning of fall - Joe Strummer's "Johnny Appleseed". I first saw him perform it on his Living With The Living tour in Madison as a brief intro to "Timorous Me" and was intrigued. When I caught the boys two nights later in Chicago (yeah, I was that guy) the drummer, Chris Wilson suffered a mid-song equipment breakdown and Ted played the song in full to entertain us during pit-crew-like drum repairs.

=====
Entry from Alexandria: crystalline KNb2MoO8 at its relaxed geometry (GGA+U).

a b c (Å): 5.4730 5.4067 7.2230
angles (deg): 79.06 78.65 70.24
Last column: magnetic moment on the atom in μB.
Positions (direct):
O: 0.7724 0.7664 0.0964  0.01
O: 0.6099 0.6746 0.4974  0.00
O: 0.7958 0.2332 0.1838  -0.03
O: 0.7601 0.2266 0.8050  0.01
O: 0.2042 0.7668 0.8162  -0.03
O: 0.2399 0.7734 0.1950  0.01
O: 0.2276 0.2336 0.9036  0.01
O: 0.3901 0.3254 0.5026  0.00
Mo: 0.0000 0.0000 0.0000  0.93
Nb: 0.5724 0.5812 0.2708  0.04
Nb: 0.4276 0.4188 0.7292  0.04
K: 0.0000 0.0000 0.5000  0.00

Summary:
Symmetry   P-1

Entry from Alexandria: crystalline KNbMoO6 at its relaxed geometry (GGA+U).

a b c (Å): 5.3577 5.3577 5.9497
angles (deg): 90.00 90.00 60.00
Positions (direct):
O: 0.3869 0.0150 0.6881
O: 0.6028 0.0045 0.3112
O: 0.0150 0.5981 0.6881
O: 0.0045 0.3927 0.3112
O: 0.3927 0.6028 0.3112
O: 0.5980 0.3869 0.6881
Mo: 0.3333 0.3333 0.4573
K: 0.0000 0.0000 0.9955
Nb: 0.6666 0.6667 0.5492

Summary:
Symmetry   P3

Number 1: VASP energy -0.28793 hartree per atom, total moment 1.0 μB per formula unit. Number 2: VASP energy -0.27199 hartree per atom, total moment 0.0 μB per formula unit.

=====

A relaxed structure of CsKB2Br8. Source: Alexandria, functional PBE-GGA.

a b c (Å): 6.769 6.769 10.832
angles (deg): 90.00 90.00 120.00
Sites, in units of the cell vectors:
Cs  0.000  0.000  0.000
K  0.000  0.000  0.500
B  0.333  0.667  0.762
B  0.667  0.333  0.238
Br  0.031  0.403  0.702
Br  0.333  0.667  0.950
Br  0.372  0.969  0.702
Br  0.403  0.372  0.298
Br  0.597  0.628  0.702
Br  0.628  0.031  0.298
Br  0.667  0.333  0.050
Br  0.969  0.597  0.298

Summary:
* SG: P-3
* E_form (uncorrected): -0.946 eV per atom
* energy: -3.34 eV per atom
* total magnetization: 0.00 Bohr magnetons per cell

=====

Run one
Computed, not measured: a relaxed NaLaB2 crystal at the PBE level of DFT.

Lattice parameters (Å, degrees): 8.8536 8.8536 8.8536 153.12 153.12 38.37
Closest atoms and distances in Å follow each position.
Fractional coordinates of all 8 atoms:
Na 0.3750 0.6250 0.7500  4 B 2.33
Na 0.6250 0.3750 0.2500  4 B 2.33
La 0.1250 0.8750 0.2500  4 Na 2.91, 8 B 3.11
La 0.8750 0.1250 0.7500  4 Na 2.91, 8 B 3.11
B 0.0000 0.5000 0.5000  2 B 2.06
B 0.5000 0.0000 0.0000  2 B 2.06
B 0.5000 0.5000 0.0000  2 B 2.06
B 0.5000 0.5000 0.5000  2 B 2.06

## Properties
- total magnetization (μB per cell) = 0.0
- symmetry = I4_1/amd
- V (A^3/atom) = 17.70

Run two
Computed, not measured: a relaxed NaLaB2 crystal at the PBE level of DFT.

Lattice parameters (Å, degrees): 4.6300 4.6300 4.6300 60.00 60.00 60.00
Closest atoms and distances in Å follow each position.
Fractional coordinates of all 4 atoms:
Na 0.0000 0.0000 0.0000  8 B 2.84
La 0.5000 0.5000 0.5000  8 B 2.84
B 0.2500 0.2500 0.2500  4 La 2.84, 4 Na 2.84
B 0.7500 0.7500 0.7500  4 La 2.84, 4 Na 2.84

## Properties
- total magnetization (μB per cell) = 0.0
- symmetry = Fm-3m
- V (A^3/atom) = 17.55

Quick ranking, most stable first: run two, run one.
=====

There were lines about Martin Luther King and a great line about killing bees, which I was pretty sure was metaphorical, a ton of energy and did he say it was by Joe Strummer? I quickly discovered that he recorded three albums with a post-Clash band and ordered the album from my library system posthaste (because that's how I got most of music for almost a decade, God bless public libraries). Having just finished my musical gorging on golden age Clash, I wasn't really ready to here the Joe Strummer of Global A Go-Go but the lead track was clearly a corker.
What struck me first about the original was how different it sounded was from what I remembered. Ted's solo electric version made had been pure three-chord, buzzsaw punk, Strummer's album version was... well sunny. It started promisingly enough with light palm muted guitar, except rather than distorted electric, it was soft acoustic. There were shimmery organs and sprightly mandolins and a lusty "Hey!" singalong section in the chorus. It sounded like Joe had spent his post-Clash years drinking beer and hanging around a campfire and suddenly decided to record it (and I would later find that that wasn't too far from the truth). It was a song bursting with with happiness and positive energy of "Revolution Rock" only this time missing the trademark Strummer snarl. It was a great music, but this was a bit of a curveball from a punk OG.

It took a few listens for me to start really processing the lyrics, however and I realized that the old anger and skepticism was still present as ever, he had just discovered other ways than burning the song down to get that across. Strummer starts off with a soft intro strum and a pastoral scene with our title character before pulling off sharply to compare with "a lot of souls drinking from the well / locked in a factory". When he then sings "if you're after getting the honey / then you don't go killing all the bees", it's clear that the angrily determined humanist Clash esprit sounds just as good now as ever. The rest of the song looks grimly at human progress. "Look there goes / Martin Luther King / notice how the door closes / when the chimes of freedom ring" is one perhaps the most depressingly accurate description of race in America in the last 40 years that I've ever heard. By the end of the song, he notes glumly of our condition that "that sould is hard to find".

But it's the choruses that refocus and redeem the bitterness of lyrics. They're full band sinalongs with instruments exploding throughout the mix that carry you away. The words may be grim warnings but the music transforms the dire emotion into joy. It it's as if just by singing together, bashing their instruments and finding happiness in solidarity, Joe Strummer & the Mescalaros can force you to see the many things that remain good in this world seemingly despite our best efforts. That's a good thing to be reminded of every now and then.

Johnny Appleseed - Joe Strummer & the Mescalaros  Buy Global A Go-Go.
Johnny Appleseed/Rudie Can't Fail - Ted Leo

-- Materials data from another source follow --
[1]
A plane-wave DFT calculation with GGA-PBE was carried out for a relaxed K3TaI2Br6 crystal.

POSCAR file:
```
K3TaI2Br6
1.0
8.6071 -4.6792 0.0000
8.6071 4.6792 0.0000
-0.1243 0.0000 6.2266
K Ta I Br
3 1 2 6
Direct
0.0000 0.0000 0.0000 K
0.0000 0.5000 0.5000 K
0.5000 0.0000 0.5000 K
0.5000 0.5000 0.5000 Ta
0.1925 0.1925 0.1222 I
0.8075 0.8075 0.8778 I
0.2435 0.6280 0.2686 Br
0.3720 0.7565 0.7314 Br
0.3831 0.3831 0.7398 Br
0.6169 0.6169 0.2602 Br
0.6280 0.2435 0.2686 Br
0.7565 0.3720 0.7314 Br
```


[2]
A plane-wave DFT calculation with GGA-PBE was carried out for a relaxed K3TcI6Br2 crystal.

POSCAR file:
```
K3TcI6Br2
1.0
9.1950 -4.6962 0.0000
9.1950 4.6962 0.0000
-1.5730 0.0000 6.3628
K Tc I Br
3 1 6 2
Direct
0.0000 0.0000 0.0000 K
0.0000 0.5000 0.5000 K
0.5000 0.0000 0.5000 K
0.5000 0.5000 0.5000 Tc
0.2075 0.6216 0.2631 I
0.3784 0.7925 0.7369 I
0.4048 0.4048 0.7624 I
0.5952 0.5952 0.2376 I
0.6216 0.2075 0.2631 I
0.7925 0.3784 0.7369 I
0.1738 0.1738 0.2013 Br
0.8262 0.8262 0.7987 Br
```

DOS at the Fermi energy = 0.81 states/eV/atom


Computed uncorrected formation energy, in the same sequence as the records: -14.43; -9.05 eV per formula unit.
Computed E_tot, in the same sequence as the records: -42.71; -35.35 eV/cell.
Computed mass density, in the same sequence as the records: 3.4; 3.4 g/cm3.

1 comment:

  1. Thoughtful piece and a great song. Consider another (musical) message transmitted and happily received.

